**Material:**
-- begin --
(1)
Computed, not measured: C17H32NOPSr as an isolated structure at a distorted geometry, with ωB97M-V/def2-TZVPD.

```
53
Properties=species:S:1:pos:R:3:mulliken_charge:R:1
Sr 1.11755 0.83772 -0.81215 1.952
P -0.67078 1.30695 1.65776 0.829
O 2.29917 -0.88441 0.09286 -1.162
N -0.37587 0.94865 -2.58381 -0.257
C -3.94321 -1.12347 1.08854 -0.692
C -2.40706 -1.22532 -1.24473 -0.115
C -2.12502 0.26150 2.22198 -1.185
C 3.65559 -2.89185 0.34522 -1.676
C -3.65413 -1.84004 -1.20130 -0.796
C 3.26965 -1.52165 0.89532 1.356
C -1.85979 -0.73499 -0.06376 0.989
C 2.75655 -1.78565 2.31153 -1.504
C -4.40540 -1.83030 -0.02323 -0.674
C 0.67901 1.65512 -3.42908 -0.741
C 4.52715 -0.65373 0.98425 -1.569
C -0.38843 -0.39852 -2.59840 0.098
C -1.69695 1.63820 -2.56194 -1.097
C -1.59627 2.78552 1.11655 -1.392
C -1.63649 -1.18568 -2.56256 -1.887
C 0.04361 1.84124 3.24282 -1.311
C -2.68761 -0.51166 1.05204 -0.222
H -1.41005 -2.22701 -2.85779 0.446
H 4.93579 -0.43907 -0.00955 0.323
H 2.65913 3.13924 -1.04400 0.016
H 4.51308 -3.32121 0.88336 0.375
H 3.54257 -2.22005 2.94476 0.405
H 0.83194 2.58333 3.04649 0.371
H 0.14685 2.41113 -4.02403 0.342
H 2.82578 -3.59429 0.46672 0.393
H 1.93005 -2.50065 2.29174 0.386
H -2.83814 0.92625 2.74097 0.500
H -4.52105 -1.09255 2.01039 0.445
H 0.49476 0.97228 3.74556 0.322
H -2.00928 1.83111 -1.52669 0.108
H -4.00523 -2.34315 -2.10482 0.437
H -2.13345 3.17436 1.99130 0.416
H -1.58451 2.60058 -3.06770 0.344
H 5.32770 -1.13885 1.56213 0.382
H -2.30697 -0.84258 -3.37043 0.346
H 0.57765 -0.89436 -2.77633 0.325
H 1.21433 0.93244 -4.08317 0.181
H -0.73990 2.27779 3.87798 0.417
H -2.49078 1.07009 -3.06295 0.321
H 4.31190 0.30100 1.47842 0.297
H 3.12636 2.69245 -0.47804 0.005
H 2.40030 -0.87897 2.80622 0.204
H 3.92686 -2.85137 -0.71114 0.364
H 1.40427 2.21044 -2.78195 0.380
H -1.71259 -0.41693 2.99054 0.431
H -5.34730 -2.37407 0.01473 0.360
H -0.75335 -0.77451 0.05378 0.734
H -0.90048 3.55173 0.74289 0.343
H -2.31751 2.54776 0.32272 0.336
```

Summary:
- LUMO energy: -0.02 eV
- HOMO-LUMO gap: 4.483 eV
- 2S+1: 1
- Highest occupied orbital energy: -4.51 eV

***

(2)
Computed, not measured: C22H37NO3Pt as an isolated structure at a distorted geometry, with ωB97M-V/def2-TZVPD.

```
64
Properties=species:S:1:pos:R:3:mulliken_charge:R:1
Pt 2.40323 0.37035 2.82970 1.054
O 1.70838 -2.19765 -0.87974 -0.402
O 3.83489 0.17444 0.14802 -0.578
O 2.02712 1.54296 -4.50433 -0.492
N 0.75795 -1.41028 -3.71961 -0.235
C -0.15119 -4.10848 1.44469 -1.059
C 1.55863 3.91266 3.67454 -1.093
C 1.47098 2.27571 -2.01339 0.251
C 0.68989 3.70158 -2.26755 -0.642
C -1.65741 -2.09116 -3.32574 -0.516
C 1.78833 2.78153 0.71687 -0.452
C 1.97056 1.87306 -0.63750 0.683
C -3.22649 -2.85057 0.86308 0.428
C 1.44625 -0.40746 -2.80410 -0.039
C 1.63099 2.28382 3.43424 0.309
C 1.70584 1.18213 -3.25789 0.113
C 1.68064 5.02507 -2.09375 -0.866
C -1.82011 -2.01651 0.77319 -0.579
C 0.81654 1.49581 4.65604 -1.087
C 1.07354 1.87401 1.92607 0.293
C -4.42006 -1.81672 0.31411 -1.127
C -0.66252 -0.97812 -4.05388 -0.101
C -0.51914 -2.95190 0.29375 0.603
C 1.92710 -0.81552 -1.42281 0.288
C 2.71213 0.37602 -0.54905 -0.029
C 0.78291 -1.93416 0.27216 -0.402
C -3.30350 -4.19637 -0.06929 -1.076
H -4.00966 -0.97492 -0.38760 0.280
H -0.84358 0.12016 -3.69470 0.137
H -1.59254 -1.45227 1.80038 -0.048
H 2.76672 3.27985 1.11910 0.306
H 1.26616 0.72545 1.81078 -0.815
H -5.15084 -2.47713 -0.36083 0.318
H -1.03188 -3.05189 -3.02696 0.189
H 2.65315 4.32804 3.50333 0.299
H -3.00416 -4.01750 -1.18649 0.147
H -2.53653 -2.33111 -4.08198 0.392
H -0.79186 -1.14193 -5.21379 0.337
H -0.10956 2.01462 1.90695 0.295
H 0.15214 2.26695 5.26289 0.389
H 0.82940 4.39402 2.89022 0.305
H 2.74187 1.85135 3.48385 0.338
H -0.65996 -3.41424 -0.77283 0.135
H -3.47943 -3.02799 2.00383 0.353
H 0.09909 0.64624 4.25096 0.313
H -2.06692 -1.64668 -2.30100 -0.092
H -4.44944 -4.53129 -0.06982 0.426
H 1.00928 -4.31433 1.32094 0.353
H 0.32477 -0.83639 0.21530 0.034
H 1.56140 1.01519 5.42290 0.352
H -2.71763 -5.11608 0.38897 0.231
-- stop --

**Brief:**
It remains to work out how many lines earlier on have the word "an" in them; a number is enough.

**Done:**
2